Given:
┌──
1.
Density functional theory data (PBE-GGA) for an optimized crystal structure of TlVSe2N.

a = 5.332 Å, b = 5.332 Å, c = 4.025 Å
α = 90.00°, β = 90.00°, γ = 90.00°
Atoms (fractional coordinates):
Tl1 0.000 0.000 0.000
V1 0.500 0.500 0.500
Se1 0.000 0.500 0.000
Se2 0.500 0.000 0.000
N1 0.000 0.000 0.500

Values from the calculation:
Its final energy is -3.7345 eV per atom. For the relative energy among the computed polymorphs, the calculation gives 166.22 kJ per mole of atoms. The raw formation energy comes out at 156.4 kJ per mole of atoms.

2.
Density functional theory data (PBE-GGA) for an optimized crystal structure of Ce2NdO.

a = 9.105 Å, b = 9.105 Å, c = 9.105 Å
α = 22.77°, β = 22.77°, γ = 22.77°
Atoms (fractional coordinates):
Ce1 0.218 0.218 0.218
Ce2 0.782 0.782 0.782
Nd1 0.000 0.000 0.000
O1 0.500 0.500 0.500

Values from the calculation:
Its final energy is -6.6433 eV per atom. The raw formation energy comes out at -120.1 kJ per mole of atoms.

3.
Density functional theory data (PBE-GGA) for an optimized crystal structure of AlTlN.

a = 3.622 Å, b = 3.622 Å, c = 9.947 Å
α = 90.00°, β = 90.00°, γ = 90.00°
Atoms (fractional coordinates):
Al1 0.250 0.750 0.000
Al2 0.750 0.250 0.000
Tl1 0.250 0.250 0.382
Tl2 0.750 0.750 0.618
N1 0.250 0.250 0.943
N2 0.750 0.750 0.057

Values from the calculation:
Its final energy is -5.2754 eV per atom. The raw formation energy comes out at -44.8 kJ per mole of atoms.

=====

# 1
# Tb12Pr6Tm (GGA-PBE, relaxed)
# Energy above the lowest structure with this stoichiometry, eV/atom: 0.2017
# Calculated formation energy, eV/atom: 0.33
data_Tb12Pr6Tm
_space_group_name_H-M_alt 'R -3 m'
_space_group_IT_number 166
_space_group_name_Hall '-R 3 2"'
_cell_length_a 16.7379
_cell_length_b 16.7379
_cell_length_c 8.2294
_cell_angle_alpha 90.00
_cell_angle_beta 90.00
_cell_angle_gamma 120.00
loop_
_atom_site_label
_atom_site_fract_x
_atom_site_fract_y
_atom_site_fract_z
Tb1 0.0000 0.3816 0.0000
Tb2 0.1077 0.2154 0.6213
Pr1 0.1025 0.2050 0.0785
Tm1 0.0000 0.0000 0.5000

***

# 2
# LaTb2Ho4Th (GGA-PBE, relaxed)
# Calculated formation energy, eV/atom: 0.04
data_LaTb2Ho4Th
_space_group_name_H-M_alt 'P m m m'
_space_group_IT_number 47
_cell_length_a 5.077
_cell_length_b 5.093
_cell_length_c 9.980
_cell_angle_alpha 90.00
_cell_angle_beta 90.00
_cell_angle_gamma 90.00
loop_
_space_group_symop_operation_xyz
'x,y,z'
'-x,-y,-z'
'-x,-y,z'
'x,y,-z'
'x,-y,-z'
'-x,y,z'
'-x,y,-z'
'x,-y,z'
loop_
_atom_site_label
_atom_site_fract_x
_atom_site_fract_y
_atom_site_fract_z
La1 0.000 0.000 0.000
Tb1 0.000 0.000 0.500
Tb2 0.500 0.500 0.000
Ho1 0.000 0.500 0.256
Ho2 0.500 0.000 0.257
Th1 0.500 0.500 0.500

***

# 3
# Pm3Nd4Sm (GGA-PBE, relaxed)
# Energy above the lowest structure with this stoichiometry, eV/atom: 0.0000
# Calculated formation energy, eV/atom: 0.03
data_Pm3Nd4Sm
_space_group_name_H-M_alt 'P m n 21'
_space_group_IT_number 31
_cell_length_a 11.870
_cell_length_b 7.393
_cell_length_c 6.393
_cell_angle_alpha 90.00
_cell_angle_beta 90.00
_cell_angle_gamma 90.00
loop_
_space_group_symop_operation_xyz
'x,y,z'
'-x+1/2,-y,z+1/2'
'-x,y,z'
'x+1/2,-y,z+1/2'
loop_
_atom_site_label
_atom_site_fract_x
_atom_site_fract_y
_atom_site_fract_z
Pm1 0.000 0.124 0.000
Pm2 0.250 0.124 0.668
Nd1 0.000 0.374 0.500
Nd2 0.000 0.625 0.001
Nd3 0.250 0.374 0.168
Sm1 0.000 0.875 0.500

***

# 4
# Zr7Zn3 (GGA-PBE, relaxed)
# Calculated formation energy, eV/atom: -0.09
data_Zr7Zn3
_space_group_name_H-M_alt 'P 63 m c'
_space_group_IT_number 186
_space_group_name_Hall 'P 6c -2c'
_cell_length_a 8.8849
_cell_length_b 8.8849
_cell_length_c 6.1658
_cell_angle_alpha 90.00
_cell_angle_beta 90.00
_cell_angle_gamma 120.00
loop_
_atom_site_label
_atom_site_fract_x
_atom_site_fract_y
_atom_site_fract_z
Zr1 0.0686 0.5343 0.0000
Zr2 0.1216 0.2433 0.2601
Zr3 0.3333 0.6667 0.3586
Zn1 0.2065 0.4131 0.6803

***

# 5
# InAgS2 (GGA-PBE, relaxed)
# Energy relative to the elements, uncorrected, eV per atom: -0.35
data_InAgS2
_space_group_name_H-M_alt 'R 3 m'
└──

What to do:
What is needed: filter the lines further above: keep the lines with the word "for".

Result:
Density functional theory data (PBE-GGA) for an optimized crystal structure of TlVSe2N.
Density functional theory data (PBE-GGA) for an optimized crystal structure of Ce2NdO.
Density functional theory data (PBE-GGA) for an optimized crystal structure of AlTlN.